____________
Entry 1:
{"formula": "C26H23ClN2OPPb", "method": "the ωB97M-V functional and the def2-TZVPD basis", "spin_multiplicity": 1, "e_homo_ev": [-16.559, -16.501], "charge": 3, "total_energy_ha": -2182.62608, "homo_lumo_gap_ev": [2.699, 2.581], "species": ["Pb", "Cl", "C", "O", "P", "C", "C", "C", "C", "C", "C", "C", "C", "H", "H", "H", "H", "H", "C", "C", "C", "C", "C", "H", "H", "H", "H", "H", "C", "C", "C", "C", "C", "H", "H", "H", "H", "H", "H", "H", "N", "C", "N", "C", "C", "C", "C", "C", "C", "H", "H", "H", "H", "H", "H"], "xyz": [[-1.22, 1.29, 0.29], [-2.63, -0.35, -1.02], [0.66, 0.63, 2.33], [1.49, 0.51, 3.11], [0.94, -0.55, -0.82], [1.41, 0.56, -2.21], [2.51, -0.98, -0.02], [0.33, -2.09, -1.59], [2.98, -2.30, 0.08], [4.19, -2.56, 0.72], [4.95, -1.53, 1.26], [4.48, -0.21, 1.18], [3.27, 0.06, 0.56], [2.39, -3.12, -0.34], [4.55, -3.59, 0.78], [5.91, -1.74, 1.73], [5.07, 0.60, 1.60], [2.91, 1.09, 0.50], [0.49, 1.53, -2.68], [0.85, 2.41, -3.69], [2.11, 2.32, -4.30], [3.02, 1.36, -3.85], [2.68, 0.49, -2.80], [-0.53, 1.59, -2.27], [0.13, 3.17, -4.02], [2.37, 2.99, -5.12], [4.00, 1.28, -4.31], [3.41, -0.23, -2.45], [0.58, -2.43, -2.92], [0.11, -3.64, -3.44], [-0.64, -4.50, -2.65], [-0.94, -4.15, -1.32], [-0.46, -2.96, -0.80], [1.15, -1.74, -3.56], [0.34, -3.90, -4.47], [-0.99, -5.45, -3.05], [-1.54, -4.81, -0.70], [-0.73, -2.67, 0.22], [-3.09, 2.59, -3.13], [-3.35, 1.88, -3.15], [-4.95, 1.21, 2.53], [-4.12, 0.71, 1.61], [-2.84, 0.94, 1.95], [-2.86, 1.63, 3.18], [-1.83, 2.16, 3.97], [-2.19, 2.79, 5.17], [-3.54, 2.92, 5.54], [-4.57, 2.44, 4.71], [-4.18, 1.80, 3.55], [-5.96, 1.18, 2.51], [-4.45, 0.19, 0.73], [-0.80, 2.08, 3.64], [-1.42, 3.18, 5.85], [-3.81, 3.40, 6.48], [-5.63, 2.52, 4.92]]}

Entry 2:
____________

Your job: filter the notes earlier on: keep the lines with the word "C26H23ClN2OPPb".

{"formula": "C26H23ClN2OPPb", "method": "the ωB97M-V functional and the def2-TZVPD basis", "spin_multiplicity": 1, "e_homo_ev": [-16.559, -16.501], "charge": 3, "total_energy_ha": -2182.62608, "homo_lumo_gap_ev": [2.699, 2.581], "species": ["Pb", "Cl", "C", "O", "P", "C", "C", "C", "C", "C", "C", "C", "C", "H", "H", "H", "H", "H", "C", "C", "C", "C", "C", "H", "H", "H", "H", "H", "C", "C", "C", "C", "C", "H", "H", "H", "H", "H", "H", "H", "N", "C", "N", "C", "C", "C", "C", "C", "C", "H", "H", "H", "H", "H", "H"], "xyz": [[-1.22, 1.29, 0.29], [-2.63, -0.35, -1.02], [0.66, 0.63, 2.33], [1.49, 0.51, 3.11], [0.94, -0.55, -0.82], [1.41, 0.56, -2.21], [2.51, -0.98, -0.02], [0.33, -2.09, -1.59], [2.98, -2.30, 0.08], [4.19, -2.56, 0.72], [4.95, -1.53, 1.26], [4.48, -0.21, 1.18], [3.27, 0.06, 0.56], [2.39, -3.12, -0.34], [4.55, -3.59, 0.78], [5.91, -1.74, 1.73], [5.07, 0.60, 1.60], [2.91, 1.09, 0.50], [0.49, 1.53, -2.68], [0.85, 2.41, -3.69], [2.11, 2.32, -4.30], [3.02, 1.36, -3.85], [2.68, 0.49, -2.80], [-0.53, 1.59, -2.27], [0.13, 3.17, -4.02], [2.37, 2.99, -5.12], [4.00, 1.28, -4.31], [3.41, -0.23, -2.45], [0.58, -2.43, -2.92], [0.11, -3.64, -3.44], [-0.64, -4.50, -2.65], [-0.94, -4.15, -1.32], [-0.46, -2.96, -0.80], [1.15, -1.74, -3.56], [0.34, -3.90, -4.47], [-0.99, -5.45, -3.05], [-1.54, -4.81, -0.70], [-0.73, -2.67, 0.22], [-3.09, 2.59, -3.13], [-3.35, 1.88, -3.15], [-4.95, 1.21, 2.53], [-4.12, 0.71, 1.61], [-2.84, 0.94, 1.95], [-2.86, 1.63, 3.18], [-1.83, 2.16, 3.97], [-2.19, 2.79, 5.17], [-3.54, 2.92, 5.54], [-4.57, 2.44, 4.71], [-4.18, 1.80, 3.55], [-5.96, 1.18, 2.51], [-4.45, 0.19, 0.73], [-0.80, 2.08, 3.64], [-1.42, 3.18, 5.85], [-3.81, 3.40, 6.48], [-5.63, 2.52, 4.92]]}